TEACH CT - The Education Association of Christian Homeschoolers

Issues Affecting Homeschooling


In March 2020, the Harvard Law Review published a summary of Prof. Elizabeth Bartholet’s Arizona Law Review article calling for a presumptive ban on homeschooling.  The article was the precursor to the planned Harvard Homeschool Summit to be hosted by the Harvard Law School Child Advocacy Program and scheduled for June of 2020.  One of the invited speakers at the Summit was Connecticut’s Child Advocate, Sarah Eagan. Her topic was legislative strategy.  We expect she would have discussed her work on the report she wrote in 2018, in which she analyzed six unnamed towns’ records of students who withdrew to homeschool who had been reported to the Department of Children and Families.  She concluded that 36% “lived in families that were the subject of at least one prior accepted report to DCF for suspected abuse or neglect.” In addition to the lack of scientific methodology in the data selection, she failed to distinguish between substantiated and unsubtantiated reports- i.e., whether or not a report resulted in an investigation, and whether or not a finding of abuse or neglect was made.  The problems with the report and its conclusions are discussed here and here.

Attached: data records:
/*
No. 1
Formula: C25H30AuGe2N2O2
Source: the OMol25 dataset
Level of theory: the ωB97M-V functional and the def2-TZVPD basis

Output
2S+1: 4
Frontier orbital gap (spin up / spin down) (eV): 6.82 / 5.16
ΔE to the lowest compared entry with this formula, charge and spin (kcal per mole): 0.0
LUMO level (spin up / spin down) (eV): -4.933 / -9.162
Charge: +2
⟨S²⟩: 3.7720

Each line ends with the Löwdin charge.
Atoms and positions in Å:
Au: 2.534 0.680 1.123  0.795
N: 2.774 2.124 -0.362  -0.123
C: 2.450 1.793 -1.785  -0.205
C: 1.008 2.051 -2.193  -0.076
C: -0.079 1.276 -1.509  -0.597
O: -1.129 0.975 -2.226  -0.123
O: -0.057 0.971 -0.312  -0.061
H: 2.298 2.983 -0.096  0.100
H: 3.767 2.345 -0.318  0.092
H: 2.740 0.762 -1.972  0.122
H: 3.062 2.428 -2.425  0.130
H: 0.925 1.869 -3.263  0.138
H: 0.760 3.109 -2.046  0.146
N: 2.538 -0.710 2.553  0.002
C: 2.649 -1.537 3.337  -0.073
C: 2.776 -2.570 4.324  -0.215
C: 1.634 -3.228 4.781  -0.020
C: 1.773 -4.222 5.731  -0.048
C: 3.035 -4.551 6.212  -0.035
C: 4.167 -3.889 5.753  -0.043
C: 4.046 -2.892 4.804  -0.012
H: 0.659 -2.957 4.398  0.111
H: 0.899 -4.741 6.099  0.117
H: 3.137 -5.332 6.953  0.121
H: 5.144 -4.149 6.138  0.120
H: 4.916 -2.364 4.439  0.127
C: -5.182 -2.232 2.746  -0.262
Ge: -3.483 -1.887 1.862  0.810
C: -2.208 -1.177 3.169  -0.265
C: -2.785 -3.560 1.118  -0.266
Ge: -2.262 0.174 -0.903  1.158
C: -3.241 1.760 -0.264  -0.263
C: -3.273 2.871 -1.116  -0.084
C: -3.784 4.065 -0.631  -0.048
C: -4.293 4.133 0.662  -0.034
C: -4.296 3.010 1.485  -0.046
C: -3.798 1.805 1.018  -0.087
C: -3.742 -0.370 -2.158  -0.197
C: -4.639 -1.405 -1.810  -0.059
C: -5.414 -1.954 -2.804  -0.022
C: -5.395 -1.393 -4.092  0.020
C: -4.572 -0.301 -4.401  -0.020
C: -3.785 0.261 -3.423  -0.049
H: -4.988 -2.979 3.520  0.031
H: -5.926 -2.626 2.055  0.016
H: -5.578 -1.333 3.216  0.017
H: -1.949 -2.019 3.818  0.016
H: -2.668 -0.398 3.776  0.019
H: -1.297 -0.786 2.716  0.002
H: -2.536 -4.182 1.983  0.026
H: -1.887 -3.424 0.516  0.009
H: -3.538 -4.077 0.524  0.016
H: -2.891 2.823 -2.125  0.097
H: -3.796 4.939 -1.268  0.119
H: -4.709 5.064 1.024  0.121
H: -4.698 3.071 2.488  0.119
H: -3.819 0.931 1.653  0.056
H: -4.667 -1.810 -0.808  0.071
H: -6.051 -2.801 -2.588  0.127
H: -6.054 -1.791 -4.852  0.131
H: -4.570 0.115 -5.400  0.128
H: -3.157 1.108 -3.653  0.105

No. 2
Formula: C25H30B2BrF4N6O10ReS2
Source: the OMol25 dataset
Level of theory: the ωB97M-V functional and the def2-TZVPD basis

Output
2S+1: 2
Frontier orbital gap (spin up / spin down) (eV): 6.09 / 5.58
ΔE to the lowest compared entry with this formula, charge and spin (kcal per mole): 24.2
LUMO level (spin up / spin down) (eV): -5.779 / -6.282
Charge: +1
⟨S²⟩: 0.7753

Each line ends with the Löwdin charge.
Atoms and positions in Å:
Re: -0.490 0.289 -1.105  1.773
C: 1.419 4.036 -2.234  0.043
C: 1.032 2.645 -1.922  -0.198
N: -0.186 2.244 -1.738  -0.058
O: -1.165 3.121 -1.979  0.097
B: -2.480 3.060 -1.235  -1.048
F: -2.341 3.471 0.054  0.219
F: -3.355 3.765 -1.998  0.209
*/

The irony of the timing of the Harvard Law Review article was not lost on the general public that had been experiencing pandemic schooling at home for two weeks. As the lockdowns continued, Harvard canceled the Summit.  With a year of lockdown and pandemic education in view, the Harvard Kennedy School has arranged to hold a series of conferences throughout the summer to discuss the Post-Pandemic Future of Homeschooling. In the first conference, “Is it time for a change to homeschool laws,” Ms. Bartholet, along with James Dwyer, Eric Wearne and Michael Donnelly were interviewed by hosts Paul E. Peterson and David Hamilin.  Not surprisingly, Ms Bartholet again quoted the report by the Child Advocate to support her proposition that homeschooling is a risk factor for abuse.The recorded session is now available on the Harvard website. Michael Donnelly’s slides on the safety and efficacy of homeschooling are available here.  One can register for the remaining conferences for free throughout the summer.

Next to the article, the page also holds records of molecules:
~~~
119
Properties=species:S:1:pos:R:3:forces:R:3 method="wB97M-V/def2-TZVPD" total_energy_ev=-61024.8795 largest_force_ha_per_bohr=0.044 smiles="COC[C@H](C)N.COC[C@H](C)N.COC[C@H](C)N.COC[C@H](C)N.COC[C@H](C)N.NC(N)=O.NC(N)=O.CO.CO.CO" lumo_energy_ev=0.52 e_homo_ha=-0.3220 homo_lumo_gap_ha=0.341
C -1.36580 1.62088 -2.96390 -0.959 -1.255 0.087
C -0.96367 2.49350 -4.12234 1.022 0.570 0.185
C 0.44536 2.04441 -4.58101 -0.524 1.237 -0.408
O 0.88610 2.86734 -5.65366 0.124 -0.274 0.156
C 2.17294 2.44894 -6.06374 -0.463 0.981 0.489
N -1.92826 2.61230 -5.22280 0.889 -0.963 0.338
H -1.63655 0.58859 -3.32242 0.357 0.615 0.220
H -2.26639 1.99540 -2.44177 0.462 -0.012 -0.109
H -0.51829 1.55407 -2.27804 -0.170 -0.130 0.270
H -0.87006 3.47984 -3.65221 0.280 0.186 -0.442
H 0.47999 1.03226 -4.97879 -0.379 -0.580 0.323
H 1.13317 2.13271 -3.71842 -0.147 -0.161 -0.196
H 2.85547 2.58475 -5.22413 0.470 0.139 -0.080
H 2.43445 3.03803 -6.92775 0.311 0.341 -0.101
H 2.21680 1.42183 -6.35308 -0.230 -1.064 -0.224
H -1.96023 1.66543 -5.59877 -0.173 0.091 -0.481
H -2.81132 2.70743 -4.76281 -0.860 0.319 0.102
C 4.10215 -0.90951 1.37959 0.342 -1.381 0.697
C 3.67685 -2.36326 1.03038 -0.452 -0.042 0.000
C 3.20173 -3.37974 2.07686 0.327 0.732 0.893
O 2.80142 -4.53780 1.37328 0.675 -0.930 0.405
C 2.57793 -5.65928 2.22900 -0.348 1.199 0.975
N 2.61737 -2.31977 0.01325 0.000 -1.163 0.116
H 5.07252 -0.93314 1.90592 -0.417 0.127 -0.122
H 3.38021 -0.38205 1.97991 -0.397 0.049 0.376
H 4.22851 -0.33058 0.47622 0.106 -0.009 -0.424
H 4.53903 -2.89389 0.68765 0.992 -0.049 -0.973
H 2.29748 -2.97967 2.55350 0.404 0.023 0.664
H 4.06398 -3.64888 2.77667 -1.221 0.543 -0.503
H 1.80512 -5.41703 2.99776 0.325 -0.148 -0.532
H 3.43663 -6.07387 2.77862 0.331 0.658 -0.262
H 2.24652 -6.43224 1.60176 -0.717 -1.034 -0.821
H 2.44518 -3.29279 -0.30920 -0.050 0.930 0.389
H 2.98171 -1.85182 -0.78388 0.223 0.554 -0.989
C 4.29146 0.31489 -2.74149 -0.430 1.558 1.383
C 4.28352 -0.79055 -3.71123 1.141 -1.730 0.052
C 2.88177 -1.09037 -4.12925 -0.480 0.737 1.349
O 2.21898 -1.58460 -2.94883 -0.049 0.377 -1.210
C 0.82321 -1.69017 -3.11262 -0.122 0.132 -0.748
N 5.18846 -0.53310 -4.86219 -0.234 -0.193 1.804
H 4.16014 1.23610 -3.29770 0.069 0.556 -0.002
H 5.21098 0.37416 -2.17394 0.408 0.094 -0.108
H 3.47909 0.32800 -1.97187 0.426 -0.402 -0.849
H 4.65641 -1.68726 -3.14671 -0.121 0.385 -0.803
H 2.87755 -1.78325 -4.94648 -0.366 -0.671 -0.515
H 2.43565 -0.12640 -4.42279 -0.235 -0.299 -0.192
H 0.27781 -0.75397 -3.29916 0.668 0.328 -0.493
H 0.44689 -1.91682 -2.14590 -0.447 -1.105 0.755
H 0.57307 -2.39657 -3.94092 -0.037 0.190 0.809
H 5.17190 -1.33616 -5.45148 0.065 -0.369 -0.702
H 4.90131 0.28658 -5.35836 -0.211 0.385 -0.410
C -1.28814 -1.43675 5.45045 0.421 -0.693 0.013
C -0.15145 -1.98501 4.54807 -1.355 -0.989 -1.296
C -0.61359 -2.69209 3.22258 -0.331 1.075 1.979
O -1.43371 -3.78257 3.45747 -1.634 -0.345 -1.173
C -2.10247 -4.10895 2.18569 1.120 -0.736 1.837
N 0.72823 -1.01724 4.05010 1.015 0.048 -1.081
~~~

After the first session, three state homeschool leaders - Pam Lucashu of TEACH CT, Tara Bentley of Indiana Home Educators and Tim Lambert of Texas Home School Coalition- discussed the Harvard conference and its implications for Homeschool Freedom.  That recorded conversation can be seen here. 


Those who want to regulate homeschoolers have sometimes pointed to child abuse of children kept at home.  Homeschooling is not synonymous with a child at home, nor is there any evidence that homeschooled children are at greater risk of abuse than the general public.  The videos below discuss the tragic case of Matthew Tirado.  Matthew was an autistic teen who was a public school student reported as truant.  State agencies failed to do their due diligence to investigate his well-being and Matthew died of malnutrition.